(Assignment)
Your job: find the line further below that holds "-0.005 -0.004", then write out that line and all lines after it there.

(Excerpt)
____________
Computed, not measured: a structure of composition C38H33CsFN7O5, with ωB97M-V/def2-TZVPD.

```
85
Properties=species:S:1:pos:R:3:forces:R:3:lowdin_charge:R:1
Cs -0.666793 1.072034 0.595716 0.079 -0.262 0.483 1.235
O -2.495257 -1.459897 0.908388 -0.060 -0.082 -0.024 -0.159
C -2.763400 -0.980381 2.056095 -0.036 -0.006 -0.035 -0.590
N -2.805588 0.282883 2.342390 -0.407 -0.127 0.199 -0.018
C -3.227653 0.733062 3.599784 0.066 -0.004 -0.019 -0.251
C -4.542214 0.526544 4.007826 -0.001 0.020 0.024 -0.069
C -5.025742 1.017618 5.217459 -0.001 -0.005 -0.004 -0.148
C -4.171262 1.745583 6.025497 0.001 0.004 0.005 -0.145
C -2.855029 1.979869 5.634194 -0.006 -0.004 0.005 -0.035
C -2.337857 1.487669 4.422724 -0.022 -0.013 -0.011 -0.208
N -1.039545 1.648404 3.949292 0.017 0.014 0.009 0.097
C -0.117545 2.229456 4.688834 -0.002 -0.013 -0.001 -0.500
O -0.174484 2.763225 5.825973 0.010 -0.002 0.005 -0.075
C 1.284672 2.245409 4.062722 0.012 0.003 0.007 -0.184
C 2.289794 2.928574 4.755032 -0.005 -0.005 0.001 -0.029
C 3.572917 2.953074 4.245658 0.002 -0.003 -0.002 -0.099
C 3.832892 2.292236 3.052713 0.005 -0.006 0.002 -0.093
C 2.778437 1.643126 2.430489 -0.002 0.011 -0.022 -0.150
N 1.538792 1.614875 2.915686 -0.038 0.016 -0.034 0.072
C -3.012027 -2.038692 3.119047 0.040 -0.016 0.003 -0.194
C -4.166625 -2.822873 3.060765 -0.024 -0.018 -0.008 -0.036
C -4.368097 -3.804591 4.008731 -0.003 0.002 -0.012 -0.093
C -3.400608 -3.994366 4.987877 0.016 0.002 0.004 -0.100
C -2.280206 -3.180792 4.954623 -0.010 -0.008 0.008 -0.151
N -2.079285 -2.224415 4.051902 -0.014 0.012 0.001 0.153
H -5.198513 -0.022088 3.340236 0.003 -0.004 -0.003 0.097
H -6.055154 0.836148 5.509911 0.000 0.000 -0.001 0.074
H -4.521523 2.145128 6.972714 0.000 0.000 0.000 0.076
H -2.191949 2.544775 6.268664 0.001 -0.004 -0.005 0.075
H 2.013180 3.413812 5.679711 0.003 0.000 0.000 0.098
H 4.363763 3.480362 4.769168 0.001 0.001 0.000 0.089
H 4.820073 2.282005 2.607204 0.001 0.002 0.001 0.086
H 2.926662 1.129865 1.485384 0.001 0.007 -0.004 0.082
H -4.890814 -2.640565 2.277299 0.003 0.010 0.003 0.105
H -5.266671 -4.411755 3.992126 0.001 -0.001 0.002 0.093
H -3.510753 -4.747039 5.758478 -0.001 -0.001 0.000 0.083
H -1.498528 -3.296925 5.700131 0.002 -0.001 -0.002 0.096
C 2.709465 2.088576 -6.736484 0.001 -0.002 0.000 -0.030
C 3.254427 3.084995 -5.716052 0.002 -0.008 0.000 -0.331
C 4.716690 3.446309 -5.948333 0.001 0.009 -0.006 -0.145
C 5.615246 2.241311 -5.706671 -0.002 -0.006 -0.005 -0.145
C 5.318093 1.613591 -4.369203 0.004 0.008 -0.001 -0.143
C 6.266285 0.852408 -3.720796 -0.004 -0.002 0.007 0.027
C 5.973689 0.270440 -2.494214 0.004 0.001 -0.002 -0.266
F 6.945099 -0.466722 -1.896391 -0.006 -0.004 -0.002 0.036
C 4.759235 0.423720 -1.890775 0.005 -0.002 0.004 0.071
C 3.781706 1.198409 -2.522766 0.008 0.001 0.007 -0.033
C 2.465850 1.360335 -1.848677 0.038 0.000 -0.022 -0.305
O 2.239469 0.792210 -0.786747 -0.002 0.028 -0.102 -0.004
C 1.523286 2.209097 -2.553541 0.012 0.105 -0.012 -0.033
C 1.873209 2.740033 -3.738223 -0.023 -0.062 -0.025 0.015
N 3.089532 2.579446 -4.357270 0.005 0.014 0.010 -0.016
C 4.058728 1.799683 -3.759065 -0.010 0.000 -0.002 -0.087
C 0.152368 2.546711 -1.953231 0.077 0.050 -0.117 -0.839
O -0.830078 1.999937 -2.489570 0.034 0.017 -0.110 -0.070
O 0.192103 3.304130 -0.965256 0.150 0.289 -0.271 -0.159
H 2.793872 2.489293 -7.749283 0.007 -0.002 -0.002 0.079
H 1.659568 1.878849 -6.531324 0.001 0.004 -0.002 0.085
H 3.249301 1.141978 -6.688312 -0.004 -0.001 0.004 0.081
H 2.661759 4.000973 -5.772336 -0.008 -0.005 0.000 0.141
H 4.988561 4.250154 -5.259796 0.003 -0.002 0.002 0.125
H 4.838196 3.824283 -6.965622 0.000 0.000 0.000 0.113
H 6.666321 2.533522 -5.749962 0.001 0.003 0.004 0.114
H 5.467138 1.504378 -6.502411 0.002 0.001 0.001 0.113
H 7.246300 0.702818 -4.158311 0.000 0.002 -0.002 0.122
H 4.522022 -0.033703 -0.939484 0.001 0.001 -0.001 0.134
H 1.167326 3.349626 -4.291456 0.005 0.007 0.002 0.144
N 0.444148 -4.229094 -2.777855 -0.022 -0.150 -0.084 0.115
____________

(Response)
C -5.025742 1.017618 5.217459 -0.001 -0.005 -0.004 -0.148
C -4.171262 1.745583 6.025497 0.001 0.004 0.005 -0.145
C -2.855029 1.979869 5.634194 -0.006 -0.004 0.005 -0.035
C -2.337857 1.487669 4.422724 -0.022 -0.013 -0.011 -0.208
N -1.039545 1.648404 3.949292 0.017 0.014 0.009 0.097
C -0.117545 2.229456 4.688834 -0.002 -0.013 -0.001 -0.500
O -0.174484 2.763225 5.825973 0.010 -0.002 0.005 -0.075
C 1.284672 2.245409 4.062722 0.012 0.003 0.007 -0.184
C 2.289794 2.928574 4.755032 -0.005 -0.005 0.001 -0.029
C 3.572917 2.953074 4.245658 0.002 -0.003 -0.002 -0.099
C 3.832892 2.292236 3.052713 0.005 -0.006 0.002 -0.093
C 2.778437 1.643126 2.430489 -0.002 0.011 -0.022 -0.150
N 1.538792 1.614875 2.915686 -0.038 0.016 -0.034 0.072
C -3.012027 -2.038692 3.119047 0.040 -0.016 0.003 -0.194
C -4.166625 -2.822873 3.060765 -0.024 -0.018 -0.008 -0.036
C -4.368097 -3.804591 4.008731 -0.003 0.002 -0.012 -0.093
C -3.400608 -3.994366 4.987877 0.016 0.002 0.004 -0.100
C -2.280206 -3.180792 4.954623 -0.010 -0.008 0.008 -0.151
N -2.079285 -2.224415 4.051902 -0.014 0.012 0.001 0.153
H -5.198513 -0.022088 3.340236 0.003 -0.004 -0.003 0.097
H -6.055154 0.836148 5.509911 0.000 0.000 -0.001 0.074
H -4.521523 2.145128 6.972714 0.000 0.000 0.000 0.076
H -2.191949 2.544775 6.268664 0.001 -0.004 -0.005 0.075
H 2.013180 3.413812 5.679711 0.003 0.000 0.000 0.098
H 4.363763 3.480362 4.769168 0.001 0.001 0.000 0.089
H 4.820073 2.282005 2.607204 0.001 0.002 0.001 0.086
H 2.926662 1.129865 1.485384 0.001 0.007 -0.004 0.082
H -4.890814 -2.640565 2.277299 0.003 0.010 0.003 0.105
H -5.266671 -4.411755 3.992126 0.001 -0.001 0.002 0.093
H -3.510753 -4.747039 5.758478 -0.001 -0.001 0.000 0.083
H -1.498528 -3.296925 5.700131 0.002 -0.001 -0.002 0.096
C 2.709465 2.088576 -6.736484 0.001 -0.002 0.000 -0.030
C 3.254427 3.084995 -5.716052 0.002 -0.008 0.000 -0.331
C 4.716690 3.446309 -5.948333 0.001 0.009 -0.006 -0.145
C 5.615246 2.241311 -5.706671 -0.002 -0.006 -0.005 -0.145
C 5.318093 1.613591 -4.369203 0.004 0.008 -0.001 -0.143
C 6.266285 0.852408 -3.720796 -0.004 -0.002 0.007 0.027
C 5.973689 0.270440 -2.494214 0.004 0.001 -0.002 -0.266
F 6.945099 -0.466722 -1.896391 -0.006 -0.004 -0.002 0.036
C 4.759235 0.423720 -1.890775 0.005 -0.002 0.004 0.071
C 3.781706 1.198409 -2.522766 0.008 0.001 0.007 -0.033
C 2.465850 1.360335 -1.848677 0.038 0.000 -0.022 -0.305
O 2.239469 0.792210 -0.786747 -0.002 0.028 -0.102 -0.004
C 1.523286 2.209097 -2.553541 0.012 0.105 -0.012 -0.033
C 1.873209 2.740033 -3.738223 -0.023 -0.062 -0.025 0.015
N 3.089532 2.579446 -4.357270 0.005 0.014 0.010 -0.016
C 4.058728 1.799683 -3.759065 -0.010 0.000 -0.002 -0.087
C 0.152368 2.546711 -1.953231 0.077 0.050 -0.117 -0.839
O -0.830078 1.999937 -2.489570 0.034 0.017 -0.110 -0.070
O 0.192103 3.304130 -0.965256 0.150 0.289 -0.271 -0.159
H 2.793872 2.489293 -7.749283 0.007 -0.002 -0.002 0.079
H 1.659568 1.878849 -6.531324 0.001 0.004 -0.002 0.085
H 3.249301 1.141978 -6.688312 -0.004 -0.001 0.004 0.081
H 2.661759 4.000973 -5.772336 -0.008 -0.005 0.000 0.141
H 4.988561 4.250154 -5.259796 0.003 -0.002 0.002 0.125
H 4.838196 3.824283 -6.965622 0.000 0.000 0.000 0.113
H 6.666321 2.533522 -5.749962 0.001 0.003 0.004 0.114
H 5.467138 1.504378 -6.502411 0.002 0.001 0.001 0.113
H 7.246300 0.702818 -4.158311 0.000 0.002 -0.002 0.122
H 4.522022 -0.033703 -0.939484 0.001 0.001 -0.001 0.134
H 1.167326 3.349626 -4.291456 0.005 0.007 0.002 0.144
N 0.444148 -4.229094 -2.777855 -0.022 -0.150 -0.084 0.115